A New Skincare routine in isolation

It is my 4th or 5th week in isolation. We started a week or 2 before the actual government advises and rules came in to place. In all honesty, I didn't think it would go this far. I didn't know that 5 weeks in, we would still have no idea when we can go back to normal. I know many people have it so much harder than us and in times like this, I appreciate even more life and its; good health and wealth.
In the first week of quarantine, I decided to try out a new skincare routine. I was thinking, why not? If anything, we can all come out of this having better skin, having read more books and more quality time spent with our families. Given the beauty enthusiast I am, I decided to give some promising products sitting on my cupboard a full-on try and here we see my verdict after4 weeks!
I have heard of the brand Omorovicza many times but have never got around to try anything from them, so I picked up this cleansing cream. I was surprised how gentle it is on the skin to a point I was wondering if it is even doing any cleaning. Why do we think the soap must be harsh to be doing a good job? This definitely changed my mind about that. It doesn't form too much but gently takes everything away and I could wash my face and just towel dry and get dressed without feeling my skin is dry because the soap was so smooth. I am definitely getting another one when I run of this goodness!
These data records were left in the entry by mistake:
____________
1.
Starting from a DFT-relaxed cell (PBE, Alexandria), the powder diffractogram of Li2SnP2O7 was simulated for Cu Kα (λ = 1.5418 Å).
Lines closer than 0.1° are merged.

Most intense lines, 2θ = 5–70°, low angle first:
2theta	I_rel	h k l
10.5	33	0 1 -1
17.8	100	0 0 2
19.8	38	1 -2 0
21.2	23	0 2 -2
22.7	31	1 -2 2
27.1	54	1 0 -3
29.0	49	-2 2 1
29.2	40	0 3 -2
30.6	27	2 0 1
31.7	22	0 3 0

```
data_Li2SnP2O7
_chemical_formula_sum 'Li8 Sn4 P8 O28'
_space_group_name_H-M_alt 'P 1'
_space_group_IT_number 1
_space_group_name_Hall 'P 1'
_cell_length_a 7.2212
_cell_length_b 9.9108
_cell_length_c 10.9851
_cell_angle_alpha 110.93
_cell_angle_beta 94.72
_cell_angle_gamma 110.43
loop_
_atom_site_label
_atom_site_type_symbol
_atom_site_fract_x
_atom_site_fract_y
_atom_site_fract_z
Li1 Li 0.0000 0.0000 0.0000
Li2 Li 0.0051 0.3372 0.8231
Li3 Li 0.0969 0.3811 0.5063
Li4 Li 0.2131 0.7606 0.5467
Li5 Li 0.2864 0.9254 0.0798
Li6 Li 0.3321 0.6820 0.2635
Li7 Li 0.5286 0.4073 0.4021
Li8 Li 0.8160 0.5702 0.6426
Sn1 Sn 0.4565 0.3367 0.7823
Sn2 Sn 0.5896 0.9762 0.7958
Sn3 Sn 0.8310 0.5641 0.1958
Sn4 Sn 0.8400 0.9827 0.2758
P1 P 0.0336 0.9953 0.7212
P2 P 0.1103 0.3315 0.2274
P3 P 0.2593 0.6320 0.7834
P4 P 0.2911 0.9460 0.3579
P5 P 0.4231 0.2747 0.0896
P6 P 0.6690 0.7719 0.5059
P7 P 0.6906 0.2144 0.5416
P8 P 0.9434 0.6581 0.9432
O1 O 0.0340 0.4606 0.2354
O2 O 0.1244 0.1766 0.7736
O3 O 0.1275 0.5852 0.6456
O4 O 0.1596 0.7189 0.8981
O5 O 0.1612 0.0408 0.3603
O6 O 0.1843 0.7952 0.3801
O7 O 0.1888 0.9237 0.6992
O8 O 0.2373 0.3737 0.3639
O9 O 0.2574 0.4849 0.8027
O10 O 0.2590 0.3539 0.1249
O11 O 0.3063 0.0969 0.0320
O12 O 0.3785 0.9032 0.2338
O13 O 0.4743 0.7594 0.8217
O14 O 0.4832 0.0552 0.4868
O15 O 0.5139 0.8110 0.5881
O16 O 0.5235 0.3459 0.9944
O17 O 0.5867 0.3456 0.2201
O18 O 0.6064 0.7530 0.3629
O19 O 0.6371 0.3454 0.5295
O20 O 0.7115 0.6352 0.5143
O21 O 0.7626 0.2408 0.6857
O22 O 0.7695 0.5814 0.8197
O23 O 0.8473 0.1859 0.4560
O24 O 0.8806 0.9312 0.5752
O25 O 0.8913 0.9444 0.8103
O26 O 0.9515 0.1590 0.1603
O27 O 0.9573 0.5393 0.0004
O28 O 0.9650 0.8174 0.0482
```



2.
Starting from a DFT-relaxed cell (PBE, Alexandria), the powder diffractogram of CaEuYNbO6 was simulated for Cu Kα (λ = 1.5418 Å).
Lines closer than 0.1° are merged.

Most intense lines, 2θ = 5–70°, low angle first:
2theta	I_rel	h k l
18.3	21	1 1 1
30.1	100	2 2 0
35.4	13	3 1 1
37.1	4	2 2 2
43.1	34	4 0 0
47.2	6	3 3 1
53.4	39	4 2 2
57.0	5	5 1 1
62.5	21	4 4 0
65.8	5	5 3 1

```
data_CaEuYNbO6
_chemical_formula_sum 'Ca4 Eu4 Y4 Nb4 O24'
_space_group_name_H-M_alt 'F -4 3 m'
_space_group_IT_number 216
_space_group_name_Hall 'F -4 2 3'
_cell_length_a 8.4013
_cell_length_b 8.4013
_cell_length_c 8.4013
_cell_angle_alpha 90.00
_cell_angle_beta 90.00
_cell_angle_gamma 90.00
loop_
_atom_site_label
_atom_site_type_symbol
_atom_site_fract_x
_atom_site_fract_y
_atom_site_fract_z
Ca1 Ca 0.0000 0.0000 0.0000
Eu1 Eu 0.0000 0.0000 0.5000
Y1 Y 0.2500 0.2500 0.7500
Nb1 Nb 0.2500 0.2500 0.2500
O1 O 0.0118 0.2500 0.2500
```



3.
____________
End of the data records:
I came across this Lancome Energie de vie totally by accident. I was walking around a drug store in Switzerland they had a sale and I saw this was heavily discounted, so I bought it thinking I will experiment. It is a mask and an exfoliator in one. You put this over on your skin for 5 mins during which you feel a beautiful cooling effect and then you just gently srub the product into your face. For someone who stays miles away from scrubs for the face since my dermatologist showed me the damage it can do, this was used with such skepticism, so I have to give it 10/10 to make me believe that as long as it is gentle, scrubs are not all bad.
I think perhaps I was the only beauty blogger out there who hadn't given this product a try. This doesn't need any introduction. This is that legendary project that is in everyone's baskets and wishlists. So I had high hopes.
+++
No. 1
Diffraction record for Li2CrWO6. The powder diffractogram is computed, not measured: it uses the PBE+U geometry in the Materials Project and λ = 1.5418 Å (Cu Kα).
Lines closer than 0.1° are merged.

Largest 6 diffraction maxima, by angle, 5 to 70 degrees two-theta:
21.17 deg, I 35, (1 0 1); 24.10 deg, I 100, (1 1 0); 33.49 deg, I 37, (1 1 2); 35.19 deg, I 25, (2 0 0); 40.70 deg, I 19, (1 0 3); 54.49 deg, I 26, (1 3 0)

Atomic structure:
Lattice parameters (Å, degrees): 5.1025 5.3663 7.3976 86.01 89.98 89.99
Space group P1 (No. 1)
One atom of each set of equivalent atoms:
Li 0.0000 0.0000 0.0000 x1
Li 0.0005 0.0063 0.5032 x1
Li 0.4994 0.5102 0.0032 x1
Li 0.5019 0.5046 0.5001 x1
Cr 0.0036 0.5654 0.2842 x1
Cr 0.4964 0.0678 0.7810 x1
W 0.5038 0.0692 0.2819 x1
W 0.9974 0.5668 0.7847 x1
O 0.1175 0.5846 0.0379 x1
O 0.1910 0.2735 0.3489 x1
O 0.1908 0.8912 0.7326 x1
O 0.3054 0.7752 0.3512 x1
O 0.3120 0.3915 0.7325 x1
O 0.3829 0.0866 0.0372 x1
O 0.6154 0.0854 0.5380 x1
O 0.6865 0.3894 0.2329 x1
O 0.6981 0.7721 0.8495 x1
O 0.8033 0.2706 0.8499 x1
O 0.8151 0.8896 0.2340 x1
O 0.8840 0.5875 0.5371 x1

No. 2
Diffraction record for Li9Cr3W7O28. The powder diffractogram is computed, not measured: it uses the PBE+U geometry in the Materials Project and λ = 1.5418 Å (Cu Kα).
Lines closer than 0.1° are merged.

Largest 6 diffraction maxima, by angle, 5 to 70 degrees two-theta:
10.41 deg, I 100, (1 0 1); 17.96 deg, I 62, (0 0 3); 18.12 deg, I 78, (0 2 1); 25.72 deg, I 69, (3 0 0); 29.83 deg, I 31, (2 2 0); 31.61 deg, I 94, (3 0 3)

Atomic structure:
Lattice parameters (Å, degrees): 11.9810 11.9810 14.8192 90.00 90.00 120.00
Space group R3m (No. 160, hexagonal axes)
One atom of each set of equivalent atoms:
Li 0.0109 0.2848 0.0000 x18
Li 0.0884 0.1768 0.6365 x9
Cr 0.1732 0.3464 0.8187 x9
W 0.0000 0.0000 0.0090 x3
W 0.0005 0.5003 0.8649 x9
W 0.1911 0.0955 0.8235 x9
O 0.0000 0.0000 0.7663 x3
O 0.0100 0.2466 0.7490 x18
O 0.0773 0.1546 0.9071 x9
O 0.0870 0.4179 0.9018 x18
O 0.1581 0.0791 0.0651 x9
O 0.1688 0.3375 0.0774 x9
O 0.1737 0.0869 0.5777 x9
O 0.1750 0.3501 0.5756 x9

No. 3
Diffraction record for Li4Cr5WO12. The powder diffractogram is computed, not measured: it uses the PBE+U geometry in the Materials Project and λ = 1.5418 Å (Cu Kα).
Lines closer than 0.1° are merged.

Largest 6 diffraction maxima, by angle, 5 to 70 degrees two-theta:
8.58 deg, I 24, (0 0 1); 17.21 deg, I 100, (0 0 2); 34.79 deg, I 25, (1 3 -1); 35.67 deg, I 20, (1 3 1); 42.18 deg, I 18, (1 3 -3); 44.46 deg, I 16, (1 3 3)

Atomic structure:
Lattice parameters (Å, degrees): 5.2106 9.1543 10.3597 90.00 95.88 90.00
Space group C2/m (No. 12)
One atom of each set of equivalent atoms:
Li 0.2082 0.1685 0.2092 x8
Cr 0.0000 0.0000 0.0000 x2
Cr 0.0000 0.1667 0.5000 x4
Cr 0.0000 0.3364 0.0000 x4
W 0.0000 0.5000 0.5000 x2
O 0.1395 0.1725 0.8963 x8
O 0.1561 0.5000 0.8954 x4
O 0.1842 0.3310 0.6002 x8
O 0.1957 0.0000 0.5949 x4

No. 4
+++
In my view, it has a lot of pros, it seems to clear out my skin at a rate I have wondered if a surgeon comes and works on my face every night while I am asleep. It gives you results, that is for sure. My only concern about it, when you apply on the skin, it feels uncomfortable, makes your skin feel instantly dry like a desert. But if you can go past that few seconds of discomfort (it only last until you put something nourishing on your skin once it is all dried out), then it is the hero product that it claims to be.
This another cult product isn't it? I haven't actually tried a lot of Tata Harper before so this was my first full-size Tata Harper product and it came as a part of the beauty box I ordered. On the first look, I thought a nice colour. I also haven't tried shimmery, coloured moisturising creams before.
In the past 4 weeks, I used it every other day in the mornings and I must say this is my least favourite product of the lot. It doesn't moisturise that much, but it gives you a beautiful sheen, has that blurry effect. But that only lasts until you put any foundation or and other face products on your face. I am not sure why but the moment you put anything else on it it comes off, more like peels off and I had to take all of my make up off, re-do a different moisturiser and reapply makeup. So for now, I only wear it on the days which I don't wear any makeup. It is ok for now because I don't wear makeup half the time, but when we go back to normal, I don't think I would reach for it.
Well, Luna oil is not a new product for me. I have bought it on and off quite a few times over the past few years. I have a love-hate relationship with this one. I absolutely love what it can do to my skin. It clears out my skin, making it very smooth and gives me like that ‘just after a facial' look in every morning if I wear it overnight. It also makes sure that I get no spots and works as a good soldier in my dark sports.
Someone pasted calculated crystals at this point:
........
This entry pairs a crystal structure of TiVFeTc with its simulated powder X-ray diffraction pattern. Radiation: Cu Kα (λ = 1.5418 Å). Structure: a cell relaxed with GGA-PBE.
Lines closer than 0.1° are merged.

Structure:
a = 3.0050 Å, b = 4.2010 Å, c = 4.2488 Å
α = 90.00°, β = 90.00°, γ = 90.00°
Fractional positions:
Ti: 0.0000 0.0000 0.0000
V: 0.0000 0.5000 0.5000
Fe: 0.5000 0.5000 0.0000
Tc: 0.5000 0.0000 0.5000

Main lines, in order of rising 2θ (2θ from 5° to 70°):
two_theta, Rel. int.
20.9, 5
29.7, 4
29.9, 8
42.6, 25
42.7, 100
43.1, 24
61.7, 8
62.1, 15

***

This entry pairs a crystal structure of SmDy4Ag with its simulated powder X-ray diffraction pattern. Radiation: Cu Kα (λ = 1.5418 Å). Structure: a cell relaxed with GGA-PBE.
Lines closer than 0.1° are merged.

Structure:
a = 3.5679 Å, b = 3.5679 Å, c = 13.9104 Å
α = 90.00°, β = 90.00°, γ = 90.00°
Fractional positions:
Sm: 0.0000 0.0000 0.0000
Dy: 0.0000 0.0000 0.3635
Dy: 0.0000 0.0000 0.6365
Dy: 0.5000 0.5000 0.1819
Dy: 0.5000 0.5000 0.8181
Ag: 0.5000 0.5000 0.5000

Main lines, in order of rising 2θ (2θ from 5° to 70°):
two_theta, Rel. int.
31.6, 100
35.6, 42
38.8, 9
48.7, 8
51.2, 15
53.7, 14
59.1, 12
61.5, 30

***

This entry pairs a crystal structure of PF5 with its simulated powder X-ray diffraction pattern. Radiation: Cu Kα (λ = 1.5418 Å). Structure: a cell relaxed with GGA-PBE.
Lines closer than 0.1° are merged.

Structure:
a = 5.6958 Å, b = 5.6958 Å, c = 6.3762 Å
α = 90.00°, β = 90.00°, γ = 120.00°
Fractional positions:
P: 0.3333 0.6667 0.2500
P: 0.6667 0.3333 0.7500
F: 0.1753 0.3506 0.2500
F: 0.1753 0.8247 0.2500
F: 0.3333 0.6667 0.5028
F: 0.3333 0.6667 0.9972
F: 0.3506 0.1753 0.7500
F: 0.6494 0.8247 0.2500
F: 0.6667 0.3333 0.0028
F: 0.6667 0.3333 0.4972
F: 0.8247 0.1753 0.7500
F: 0.8247 0.6494 0.7500

Main lines, in order of rising 2θ (2θ from 5° to 70°):
two_theta, Rel. int.
18.0, 37
22.8, 100
28.0, 12
31.4, 26
36.4, 26
46.5, 16
51.0, 13
65.6, 13

***

This entry pairs a crystal structure of MgSi3Ir2 with its simulated powder X-ray diffraction pattern. Radiation: Cu Kα (λ = 1.5418 Å). Structure: a cell relaxed with GGA-PBE.
Lines closer than 0.1° are merged.

Structure:
a = 8.1849 Å, b = 8.1849 Å, c = 10.5392 Å
α = 111.93°, β = 111.93°, γ = 25.88°
Fractional positions:
Mg: 0.0000 0.0000 0.0000
Mg: 0.1586 0.1586 0.6924
Mg: 0.8414 0.8414 0.3076
Si: 0.0179 0.0179 0.3417
Si: 0.2179 0.2179 0.3854
Si: 0.3132 0.3132 0.0282
Si: 0.3784 0.3784 0.8023
Si: 0.5000 0.5000 0.5000
Si: 0.6216 0.6216 0.1977
Si: 0.6868 0.6868 0.9718
Si: 0.7821 0.7821 0.6146
Si: 0.9821 0.9821 0.6583
Ir: 0.2011 0.2011 0.1430
Ir: 0.3673 0.3673 0.5581
Ir: 0.4677 0.4677 0.1905
Ir: 0.5323 0.5323 0.8095
Ir: 0.6327 0.6327 0.4419
Ir: 0.7989 0.7989 0.8570

Main lines, in order of rising 2θ (2θ from 5° to 70°):
two_theta, Rel. int.
24.1, 93
25.0, 54
27.5, 49
29.0, 75
29.7, 100
31.8, 50
39.3, 52
45.5, 57

***
........
What I am not so keen on is the smell. I have had a few years to get used to it, but I still have a few seconds of “Am I really going to put this on my face” thought every night. It also has a very strong color to it, so I have thrown away more pillowcases than I could care to count as a result of using this oil. It washes ok, but then after a few washes, the pillowcases have very visible blue patches. So what is my solution to this? Buy cheap cotton pillowcases. If that means that I can have great skin in the morning, I can live with that.